-- Activity --
The reader should type out everything underneath without altering anything.

-- Input --
____________
(1)
Starting from a DFT-relaxed cell (GGA-PBE, the Materials Project), the X-ray powder pattern of MgTi2Se4O12 was calculated for a wavelength of 1.5418 Å.

Atomic structure:
Cell lengths 4.9396, 6.7882, 8.7402 Å; angles 90.13, 92.90, 111.32 degrees
Space group P1 (No. 1)
Symmetry-distinct sites (fractional):
Mg1 0.0000 0.0000 0.0000 [1 per cell]
Ti1 0.0171 0.0170 0.3669 [1 per cell]
Ti2 0.5643 0.5132 0.8517 [1 per cell]
Se1 0.2758 0.8632 0.7016 [1 per cell]
Se2 0.3671 0.6923 0.1753 [1 per cell]
Se3 0.6674 0.2386 0.0840 [1 per cell]
Se4 0.7312 0.3544 0.4948 [1 per cell]
O1 0.1085 0.8344 0.5176 [1 per cell]
O2 0.2314 0.9002 0.1799 [1 per cell]
O3 0.2985 0.2856 0.9249 [1 per cell]
O4 0.3308 0.6272 0.7055 [1 per cell]
O5 0.3834 0.2525 0.4133 [1 per cell]
O6 0.5590 0.7558 0.0069 [1 per cell]
O7 0.6544 0.7703 0.3103 [1 per cell]
O8 0.6644 0.3678 0.6833 [1 per cell]
O9 0.8153 0.1243 0.5059 [1 per cell]
O10 0.8643 0.4833 0.9909 [1 per cell]
O11 0.9588 0.1710 0.1963 [1 per cell]
O12 0.9750 0.8189 0.8113 [1 per cell]

Largest 10 diffraction maxima, sorted by position, 5 to 70 degrees two-theta:
(hkl), Position (°2θ), intensity
1 -1 0, 19.31, 26.5
1 -1 1, 22.20, 21.8
0 1 -2, 24.53, 30.4
0 1 2, 25.05, 33.9
-1 1 2, 27.63, 61.1
1 1 0, 27.85, 100.0
1 0 2, 28.99, 36.5
1 -2 1, 29.85, 48.3
-1 3 1, 41.41, 20.7
2 -4 0, 57.52, 16.8



(2)
Starting from a DFT-relaxed cell (GGA-PBE, the Materials Project), the X-ray powder pattern of MnBr2 was calculated for a wavelength of 1.5418 Å.

Atomic structure:
Cell lengths 11.0842, 11.0842, 11.0842 Å; angles 90.00, 90.00, 90.00 degrees
Space group Fd-3m (No. 227, origin choice 2)
Symmetry-distinct sites (fractional):
Mn1 0.0000 0.0000 0.0000 [16 per cell]
Br1 0.0057 0.0057 0.2443 [32 per cell]

Largest 10 diffraction maxima, sorted by position, 5 to 70 degrees two-theta:
(hkl), Position (°2θ), intensity
1 1 1, 13.84, 31.1
3 1 1, 26.67, 9.0
2 2 2, 27.88, 46.6
4 0 0, 32.31, 100.0
5 1 1, 42.37, 9.0
4 4 0, 46.34, 69.3
5 3 1, 48.59, 6.7
6 2 2, 54.95, 19.6
4 4 4, 57.61, 23.2
8 0 0, 67.62, 10.4



(3)
Starting from a DFT-relaxed cell (GGA-PBE, the Materials Project), the X-ray powder pattern of Ba2NdMgNbCu2O8 was calculated for a wavelength of 1.5418 Å.

Atomic structure:
Cell lengths 4.0865, 4.0865, 13.5550 Å; angles 90.00, 90.00, 90.00 degrees
Space group P4/mmm (No. 123)
Symmetry-distinct sites (fractional):
Ba1 0.0000 0.0000 0.2461 [2 per cell]
Nd1 0.0000 0.0000 0.5000 [1 per cell]
Mg1 0.0000 0.0000 0.0000 [1 per cell]
Nb1 0.5000 0.5000 0.0000 [1 per cell]
Cu1 0.5000 0.5000 0.3912 [2 per cell]
O1 0.0000 0.5000 0.0000 [2 per cell]
O2 0.0000 0.5000 0.3850 [4 per cell]
O3 0.5000 0.5000 0.1469 [2 per cell]

Largest 10 diffraction maxima, sorted by position, 5 to 70 degrees two-theta:
(hkl), Position (°2θ), intensity
0 0 1, 6.52, 59.9
1 0 2, 25.45, 38.8
1 0 3, 29.47, 43.7
1 1 0, 30.95, 98.1
1 0 4, 34.38, 100.0
1 0 5, 39.91, 26.7
1 1 4, 41.05, 40.7
2 0 0, 44.33, 62.6
0 0 8, 54.13, 30.1
2 1 4, 57.27, 44.3



(4)
Starting from a DFT-relaxed cell (GGA-PBE, the Materials Project), the X-ray powder pattern of Mg6Si5 was calculated for a wavelength of 1.5418 Å.

Atomic structure:
Cell lengths 4.2609, 7.2054, 14.2630 Å; angles 103.55, 91.10, 90.90 degrees
Space group P1 (No. 1)
Symmetry-distinct sites (fractional):
Mg1 0.0000 0.0000 0.0000 [1 per cell]
Mg2 0.0027 0.5225 0.0716 [1 per cell]
Mg3 0.0261 0.2300 0.2240 [1 per cell]
Mg4 0.4606 0.1682 0.6772 [1 per cell]
Mg5 0.4766 0.7322 0.5262 [1 per cell]
Mg6 0.4847 0.8840 0.8364 [1 per cell]
Mg7 0.4913 0.3104 0.9244 [1 per cell]
Mg8 0.5205 0.5770 0.2527 [1 per cell]
Mg9 0.5798 0.0119 0.3720 [1 per cell]
Mg10 0.9612 0.3873 0.5660 [1 per cell]
Mg11 0.9747 0.8029 0.6817 [1 per cell]
Mg12 0.9841 0.5400 0.8333 [1 per cell]
Si1 0.0109 0.8519 0.2204 [1 per cell]
Si2 0.0781 0.8136 0.3869 [1 per cell]
Si3 0.4713 0.5613 0.6880 [1 per cell]
Si4 0.4783 0.3628 0.4036 [1 per cell]
Si5 0.4895 0.7010 0.9790 [1 per cell]
Si6 0.5122 0.2541 0.1041 [1 per cell]
____________

-- Completed --
(1)
Starting from a DFT-relaxed cell (GGA-PBE, the Materials Project), the X-ray powder pattern of MgTi2Se4O12 was calculated for a wavelength of 1.5418 Å.

Atomic structure:
Cell lengths 4.9396, 6.7882, 8.7402 Å; angles 90.13, 92.90, 111.32 degrees
Space group P1 (No. 1)
Symmetry-distinct sites (fractional):
Mg1 0.0000 0.0000 0.0000 [1 per cell]
Ti1 0.0171 0.0170 0.3669 [1 per cell]
Ti2 0.5643 0.5132 0.8517 [1 per cell]
Se1 0.2758 0.8632 0.7016 [1 per cell]
Se2 0.3671 0.6923 0.1753 [1 per cell]
Se3 0.6674 0.2386 0.0840 [1 per cell]
Se4 0.7312 0.3544 0.4948 [1 per cell]
O1 0.1085 0.8344 0.5176 [1 per cell]
O2 0.2314 0.9002 0.1799 [1 per cell]
O3 0.2985 0.2856 0.9249 [1 per cell]
O4 0.3308 0.6272 0.7055 [1 per cell]
O5 0.3834 0.2525 0.4133 [1 per cell]
O6 0.5590 0.7558 0.0069 [1 per cell]
O7 0.6544 0.7703 0.3103 [1 per cell]
O8 0.6644 0.3678 0.6833 [1 per cell]
O9 0.8153 0.1243 0.5059 [1 per cell]
O10 0.8643 0.4833 0.9909 [1 per cell]
O11 0.9588 0.1710 0.1963 [1 per cell]
O12 0.9750 0.8189 0.8113 [1 per cell]

Largest 10 diffraction maxima, sorted by position, 5 to 70 degrees two-theta:
(hkl), Position (°2θ), intensity
1 -1 0, 19.31, 26.5
1 -1 1, 22.20, 21.8
0 1 -2, 24.53, 30.4
0 1 2, 25.05, 33.9
-1 1 2, 27.63, 61.1
1 1 0, 27.85, 100.0
1 0 2, 28.99, 36.5
1 -2 1, 29.85, 48.3
-1 3 1, 41.41, 20.7
2 -4 0, 57.52, 16.8



(2)
Starting from a DFT-relaxed cell (GGA-PBE, the Materials Project), the X-ray powder pattern of MnBr2 was calculated for a wavelength of 1.5418 Å.

Atomic structure:
Cell lengths 11.0842, 11.0842, 11.0842 Å; angles 90.00, 90.00, 90.00 degrees
Space group Fd-3m (No. 227, origin choice 2)
Symmetry-distinct sites (fractional):
Mn1 0.0000 0.0000 0.0000 [16 per cell]
Br1 0.0057 0.0057 0.2443 [32 per cell]

Largest 10 diffraction maxima, sorted by position, 5 to 70 degrees two-theta:
(hkl), Position (°2θ), intensity
1 1 1, 13.84, 31.1
3 1 1, 26.67, 9.0
2 2 2, 27.88, 46.6
4 0 0, 32.31, 100.0
5 1 1, 42.37, 9.0
4 4 0, 46.34, 69.3
5 3 1, 48.59, 6.7
6 2 2, 54.95, 19.6
4 4 4, 57.61, 23.2
8 0 0, 67.62, 10.4



(3)
Starting from a DFT-relaxed cell (GGA-PBE, the Materials Project), the X-ray powder pattern of Ba2NdMgNbCu2O8 was calculated for a wavelength of 1.5418 Å.

Atomic structure:
Cell lengths 4.0865, 4.0865, 13.5550 Å; angles 90.00, 90.00, 90.00 degrees
Space group P4/mmm (No. 123)
Symmetry-distinct sites (fractional):
Ba1 0.0000 0.0000 0.2461 [2 per cell]
Nd1 0.0000 0.0000 0.5000 [1 per cell]
Mg1 0.0000 0.0000 0.0000 [1 per cell]
Nb1 0.5000 0.5000 0.0000 [1 per cell]
Cu1 0.5000 0.5000 0.3912 [2 per cell]
O1 0.0000 0.5000 0.0000 [2 per cell]
O2 0.0000 0.5000 0.3850 [4 per cell]
O3 0.5000 0.5000 0.1469 [2 per cell]

Largest 10 diffraction maxima, sorted by position, 5 to 70 degrees two-theta:
(hkl), Position (°2θ), intensity
0 0 1, 6.52, 59.9
1 0 2, 25.45, 38.8
1 0 3, 29.47, 43.7
1 1 0, 30.95, 98.1
1 0 4, 34.38, 100.0
1 0 5, 39.91, 26.7
1 1 4, 41.05, 40.7
2 0 0, 44.33, 62.6
0 0 8, 54.13, 30.1
2 1 4, 57.27, 44.3



(4)
Starting from a DFT-relaxed cell (GGA-PBE, the Materials Project), the X-ray powder pattern of Mg6Si5 was calculated for a wavelength of 1.5418 Å.

Atomic structure:
Cell lengths 4.2609, 7.2054, 14.2630 Å; angles 103.55, 91.10, 90.90 degrees
Space group P1 (No. 1)
Symmetry-distinct sites (fractional):
Mg1 0.0000 0.0000 0.0000 [1 per cell]
Mg2 0.0027 0.5225 0.0716 [1 per cell]
Mg3 0.0261 0.2300 0.2240 [1 per cell]
Mg4 0.4606 0.1682 0.6772 [1 per cell]
Mg5 0.4766 0.7322 0.5262 [1 per cell]
Mg6 0.4847 0.8840 0.8364 [1 per cell]
Mg7 0.4913 0.3104 0.9244 [1 per cell]
Mg8 0.5205 0.5770 0.2527 [1 per cell]
Mg9 0.5798 0.0119 0.3720 [1 per cell]
Mg10 0.9612 0.3873 0.5660 [1 per cell]
Mg11 0.9747 0.8029 0.6817 [1 per cell]
Mg12 0.9841 0.5400 0.8333 [1 per cell]
Si1 0.0109 0.8519 0.2204 [1 per cell]
Si2 0.0781 0.8136 0.3869 [1 per cell]
Si3 0.4713 0.5613 0.6880 [1 per cell]
Si4 0.4783 0.3628 0.4036 [1 per cell]
Si5 0.4895 0.7010 0.9790 [1 per cell]
Si6 0.5122 0.2541 0.1041 [1 per cell]